2 minute read
from Daytonian 1939
by eCommons
Key Men And Women
Seventeen students, 15 men and two coeds, attained the coveted Alpha Sigma Tau honor key, indicative of a seven semester cumulative point hour ratio of 2.5 or more. The keys, awarded at a special convocation in March, attest to the intellectual ability of the university's "braintrusters," whose reports had been graced with A's and B's for the three and a half years. The 17 key men and women led in almost every campus activity, not being content to rest on their scho lastic laurels.
Campus Crusaders
Devoted to apostolic ends, the Catholic Students' Mission Crusade unit, sixmonth old campus group, has entered whole-heartedly into the Cincinnati archdiocesan organization set-up. The unit supplied a basis for the entrance of U. D. students into National University Catholic Action and assisted in promoting the Catholic World Congress of University Federations. Members also encouraged and supported the activities of the Miami Valley regional C. S. M. C. conference.
[Between two parts of the piece: calculated molecules]
A molecular structure, C31H60CoGeN7SbSi3 in a non-equilibrium geometry. Source: the Open Molecules 2025 dataset; level of theory: wB97M-V/def2-TZVPD.

## Properties
2S+1 = 5
DFT total energy = -6167.7243 Eh
LUMO (spin up / spin down) = -0.40209 / -0.39030 Eh
Energy above the lowest of the compared OMol25 structures with the same formula, charge and spin = 1.714 eV
Total charge = +3

Positions of all 104 atoms, in Å:
1 H -5.020 1.517 3.703
2 H 0.053 3.137 -0.230
3 H -1.498 2.545 -4.284
4 Co 0.052 -0.426 -0.232
5 H 4.008 -3.257 -3.005
6 H -0.700 -3.167 -2.152
7 H 1.698 -0.132 2.421
8 C -4.348 1.341 2.881
9 H 2.473 5.060 1.493
10 H -5.444 -0.790 0.518
11 H 5.006 5.140 0.341
12 H 3.538 -1.440 0.352
13 H 4.192 -0.150 1.427
14 C -2.398 0.449 -3.608
15 H -4.899 1.098 2.003
16 C -3.144 -3.033 -0.238
17 C 0.735 -2.822 1.309
18 C -2.828 -0.135 -4.769
19 H -3.945 -3.471 3.656
20 C 6.622 0.559 -1.679
21 H -1.803 1.123 5.283
22 H -0.054 3.568 -4.325
23 C -0.025 -2.375 -2.597
24 H 0.691 4.213 -1.514
25 N -0.282 -1.910 1.232
26 C 4.305 0.338 -0.626
27 H -1.087 3.974 -1.365
28 C -5.461 -1.681 1.142
29 C -3.587 1.221 -0.608
30 H -1.595 -2.269 4.279
31 Ge 1.820 0.473 0.965
32 H 4.144 -0.244 -1.543
33 H 6.016 1.301 0.254
34 C 3.350 4.463 1.697
35 H 3.123 3.303 -0.004
36 C -1.474 -0.181 -2.783
37 C 4.558 5.338 1.306
38 H -6.033 -2.426 0.596
39 H -4.445 1.270 0.075
40 C 5.842 0.448 -0.403
41 H 3.889 1.329 -0.839
42 H -3.689 0.508 -1.395
43 H -2.069 -3.392 -0.163
44 Sb -1.793 0.804 0.653
45 H -6.008 -1.500 2.105
46 H 1.141 2.888 1.434
47 C -0.088 3.479 -1.253
48 Si 0.070 2.018 -2.417
49 C -1.598 0.677 4.282
50 C 0.130 -3.393 3.607
51 H 4.291 6.401 1.340
52 H -2.429 -1.720 -6.279
53 C 3.241 3.101 1.042
54 H 3.048 -4.333 -3.921
55 N 2.093 -2.881 -2.994
56 H 6.221 1.370 -2.315
57 H -0.804 -2.826 -4.806
58 C 2.096 2.329 1.609
59 H 4.196 2.578 1.201
60 H 2.319 0.817 -2.801
61 C -2.224 -1.270 -5.320
62 Si -3.682 -2.337 1.403
63 H -4.840 -0.264 5.219
64 H -3.247 -2.380 -1.078
65 H 7.689 0.761 -1.547
66 H -1.190 1.477 3.636
67 H -4.841 -1.720 4.314
68 H 6.181 -0.437 0.200
69 C -0.421 2.549 -4.149
70 C -2.423 -1.054 2.006
71 N 0.804 -1.714 -1.681
72 C -0.942 -2.480 3.487
73 C 3.597 -0.323 0.500
74 H -0.829 -0.128 4.422
75 H 1.675 -4.341 2.461
76 C -1.344 -1.944 -4.476
77 Si -3.161 -0.073 3.427
78 H -3.810 2.289 2.691
79 C -3.890 -3.790 2.610
80 N 0.909 -3.001 -3.542
81 H -3.072 -4.537 2.545
82 H 2.228 2.252 2.679
83 H -3.511 2.261 -1.036
84 C -0.798 0.455 -1.674
85 H -4.855 -4.315 2.430
86 H 2.109 2.324 -3.769
87 H -3.697 -3.970 -0.384
88 H 5.368 5.205 2.028
89 H -3.644 -1.453 5.590
90 H 0.289 -3.949 4.531
91 H 1.481 -2.950 0.502
92 C -1.167 -1.822 2.245
93 C 1.919 1.830 -2.825
94 H 2.497 2.408 -2.095
95 H -2.823 1.407 -3.339
96 H 6.492 -0.374 -2.229
97 N -1.019 -1.501 -3.241
98 N 2.064 -2.033 -1.866
99 H -3.665 0.384 -5.237
100 C 0.924 -3.543 2.482
101 H 0.028 1.848 -4.900
102 N 3.218 -3.355 -3.614
103 H 3.374 4.349 2.792
104 C -4.168 -0.967 4.749

Atomic forces in eV per Å
Professional Groups
Rear : Kerez si, Scharf, E Simmons, L. Hi.11 , Rex , O'Toole, L Mullen, C. G. Haye s.
Second: Mueller, Leonard, Siff, Wiley, Schmitt, Dailey, T. Foley, T. Ryan.
Front: J Olcott, Schroeder, Gelofcsak, Olejnyik, B Hollcnk amp, H Mullen, Lorenz, Grimes, Trost.
Rear: Millonig, T Winter, Klosterman, Tonnous, Donl ey , Waag, T. Mak ley.
Fourth: P. Carroll, A. Weber, Ohala , Kochendorfer.
**Records of molecules, as found in the file**
<<<
The following is a DFT calculation (the ωB97M-V functional and the def2-TZVPD basis) of 2 unconnected molecules or ions with the total composition C28H37Si at a distorted geometry.

Summary:
- energy (eV) = -37505.917
- HOMO (eV) = -11.0578
- gap between HOMO and LUMO (eV) = 5.59
- multiplicity = 1
- lowest unoccupied orbital energy (eV) = -5.47
- total charge = +1

Each line ends with the natural charge from an NBO analysis.
Geometry (Å):
Si  0.04  -3.63  2.04  0.877
C  -4.82  -4.47  4.38  0.118
C  -6.27  -2.69  2.77  -0.256
C  -6.02  -4.84  3.80  -0.249
C  -0.44  -1.12  5.23  -0.025
C  -2.37  -1.37  6.86  -0.213
C  -8.11  -4.37  2.43  -0.659
C  -2.45  1.69  6.85  -0.643
C  -6.78  -3.97  3.01  0.153
C  -4.30  -3.13  4.17  -0.144
C  -1.49  -0.52  5.95  -0.059
C  -1.66  -1.45  8.22  -0.598
C  -3.11  -2.66  4.78  0.249
C  4.60  -2.61  1.71  -0.194
C  3.87  -2.12  2.80  -0.201
C  -5.07  -2.26  3.32  0.137
C  -1.65  0.89  5.87  0.008
C  2.55  -2.52  2.98  -0.214
C  -4.04  -5.48  5.16  -0.661
C  -4.63  -0.85  3.00  -0.660
C  0.13  -2.48  5.56  -0.653
C  -0.13  0.93  3.97  -0.015
C  2.63  -3.82  0.97  -0.191
C  0.63  1.65  2.90  -0.634
C  1.87  -3.29  2.03  -0.462
C  3.98  -3.50  0.82  -0.204
C  -1.00  1.58  4.85  -0.212
C  -2.78  -2.75  6.23  -0.530
C  0.08  -0.43  4.14  -0.184
H  5.63  -2.30  1.56  0.226
H  -0.26  -3.26  4.89  0.211
H  -4.08  -5.28  6.24  0.240
H  -1.31  -0.45  8.54  0.232
H  -1.95  -3.47  6.36  0.285
H  -0.98  -2.73  2.86  -0.187
H  0.31  1.34  1.89  0.225
H  -6.40  -5.85  3.97  0.232
H  -5.13  -0.52  2.07  0.243
H  -4.45  -6.49  5.02  0.244
H  -2.17  2.75  6.79  0.234
H  -3.53  1.64  6.67  0.219
H  -0.06  -5.01  2.54  -0.164
H  1.70  1.41  2.97  0.228
H  -3.63  -3.15  6.82  0.244
H  -0.04  -2.78  6.59  0.218
H  -8.30  -5.44  2.60  0.234
H  -8.12  -4.20  1.34  0.249
H  4.55  -3.94  0.00  0.225
H  -6.84  -2.00  2.14  0.232
H  -2.52  -1.94  4.23  0.234
H  -3.31  -0.83  7.02  0.223
H  1.23  -2.46  5.42  0.239
H  -1.18  2.66  4.74  0.216
H  -0.77  -2.09  8.16  0.208
H  0.69  -0.95  3.40  0.210
H  -2.27  1.38  7.89  0.219
H  2.04  -2.20  3.89  0.200
H  -0.26  -3.69  0.60  -0.145
H  -4.93  -0.13  3.78  0.247
H  0.52  2.74  2.98  0.224
H  4.32  -1.44  3.53  0.219
H  2.13  -4.48  0.25  0.218
H  -2.31  -1.83  9.01  0.218
H  -3.55  -0.75  2.87  0.234
H  -2.98  -5.50  4.86  0.233
H  -8.94  -3.80  2.86  0.254

=====

The following is a DFT calculation (the ωB97M-V functional and the def2-TZVPD basis) of a molecular structure, C28H38AsF5N4O3P2PtS at a distorted geometry.

Summary:
- relative energy (zero: lowest compared OMol25 entry of this formula, charge and spin) (eV) = 0.681
- energy (eV) = -148844.932
- HOMO (alpha / beta) (eV) = -6.2687 / -7.0614
- <S²> = 2.01
- gap between HOMO and LUMO (alpha / beta) (eV) = 6.69 / 6.58
- multiplicity = 3
- lowest unoccupied orbital energy (alpha / beta) (eV) = 0.42 / -0.48

Each line ends with the Mulliken spin population.
Geometry (Å):
Pt  -0.24  1.41  -0.52  0.941
As  1.94  1.50  0.68  0.168
>>>
Third: Rush, Rab, Chalmers, Beare.
Seco nd: Gray, H. Jacob s, Koenig, Lohrey, Braun , Biechler.
Front: Kahn, Birmingham, Wool, Gibson, R. Schneble, Alter, Paul.
Mechanics Deluxe
Durin g th e third year of its existence th e Mechanical Engineering society has performed the fun ction of increasin g practical en gin eerin g know ledge of its m embe r s by means of l ec tures and a complete program of trips to industrial plants.
With Prof. Andrew R. Weber, S.M., as advisor, Bernard Hollenkamp as chairman, Frank Schmitt as secreta ry-tr easure r , and Clem Young as publici t y director, th e lecture meetin gs were held the first Monday of each month
Embryo Medicos
Sigma Delta Pi, honorar y pre-medical socie ty, was organized to promote and foster good scholar ship, receiving as m embers only those who attain a high point average. The organization endeavors to present at each meeting speakers whose topi cs are of ed u ca tional value a nd professional interest to the medica l s tud ent.
Officers are: president, John Alter; vice-president, William Paul; secretary , Harry Ja cobs; treasurer, Arthur Millonig.
Future E D Is On S
The camp us chapter of the Illuminating Engineers society was organized by Dr. U. J. Rapp e l, S .M ., for the advancement of the theory and practice of illuminating engineering.
At informal bi-weekly meetings conducted by the junior and senior electrical engineerin g students, prepared talks by members are followed by open discussions . Through these meetings electrical engineering students keep abreast of the latest developments in the light and illumination field s
Sup R Eme Su R Vey Or S
Jlluminat I Ng Eng I Neering Society
Standing: F. Murphy, Gogolach, Dr. Rappel , Fitzpatrick, P. Wagner, Murray, R. Moran, R. Warner, Rupert, Eckhardt, Hoppa, Egger.
Sitting: Zahn, Krumhan sl , Stra sse r-, Clossi11ger, Wong, Fletcher.
American Society Of Civil Engineers
Standing: Schnurr, Lewis, Flynn , Redding, Burns, Lasar , W Hill, Wohl sch laeger, F Hari g, R. Smith, Tom , R. Forslhoff, Sullivan.
-- begin --
Molecular formula: C12H25N2O2P2RhS
Method: DFT, ωB97M-V/def2-TZVPD

**Kohn-Sham gap (spin up / spin down)**: 4.511 / 5.869 eV
**HOMO (spin up / spin down)**: -4.16 / -8.66 eV
**Spin multiplicity**: 5

XYZ file:
```
45
Properties=species:S:1:pos:R:3:forces:R:3
C 0.9871 -1.2729 -4.0696 2.7 0.8 2.0
C 1.0593 -0.8797 -2.7103 -0.5 -0.2 -1.1
N -0.1236 -0.7103 -2.0038 1.4 -0.1 0.4
C -1.3007 -1.0304 -2.5670 -1.5 -0.2 -0.6
C -1.3944 -1.3885 -3.9001 0.3 -0.1 -0.3
C -0.2423 -1.5029 -4.6637 -2.0 -0.5 -2.0
C 2.2840 -0.6377 -2.0467 -0.2 -0.4 -0.2
P 2.2300 -0.3959 -0.2871 -0.6 0.0 -0.1
Rh -0.0310 -0.1285 0.0617 0.2 0.7 2.3
P -2.2844 -0.0981 -0.1854 -0.1 -0.3 -0.6
C -2.5711 -1.0185 -1.7438 0.1 -0.1 0.3
O 1.9484 2.3568 -3.0652 0.7 -0.6 -0.5
O -0.7208 2.6020 -2.5778 0.6 0.3 -0.1
H 1.9569 -1.3636 -4.5700 -0.5 -0.1 -0.1
H -2.4022 -1.5813 -4.2863 0.5 0.0 -0.1
H -0.2919 -1.7489 -5.7206 -0.1 0.0 0.2
C 2.9902 -1.7807 0.5810 0.5 -0.2 -0.1
C 3.2417 1.0733 0.0709 0.4 -0.1 0.0
H -3.3996 -0.5708 -2.3053 0.1 0.0 0.1
H -2.9013 -2.0372 -1.4851 0.2 0.1 0.1
H 2.1955 1.4129 -2.9218 -0.3 0.5 0.0
H 3.2090 -0.8042 -2.5991 -0.1 0.0 0.1
C -3.2311 -0.8416 1.1466 -0.5 0.0 0.0
C -2.9886 1.5354 -0.5510 -0.3 0.1 0.3
H 0.2869 1.5724 -0.2498 -0.3 0.4 -0.6
H -0.7733 3.5275 -2.2960 0.0 -0.3 -0.1
H 0.2461 2.4585 -2.7733 -0.8 0.2 0.0
H 2.2303 2.5279 -3.9825 -0.2 0.0 0.5
H -0.1443 -1.6497 0.6313 0.0 0.6 -0.3
H -0.2575 1.4311 -0.8819 0.7 0.2 0.7
H 4.0334 -1.8880 0.2599 -0.1 -0.1 0.2
H 2.9321 -1.6005 1.6611 0.0 0.0 -0.2
H 2.4264 -2.6873 0.3390 0.1 0.2 0.1
H 4.2958 0.8501 -0.1464 -0.2 0.2 0.1
H 2.9082 1.9029 -0.5663 0.1 -0.2 0.2
H 3.1271 1.3506 1.1275 0.1 -0.1 -0.3
H -4.0439 1.4167 -0.8380 0.3 0.1 0.0
H -2.9334 2.1774 0.3383 0.0 -0.1 -0.2
H -2.4033 1.9849 -1.3694 -0.3 -0.2 0.3
H -4.3000 -0.8460 0.8989 0.1 -0.1 0.2
H -2.8634 -1.8635 1.2914 -0.1 0.2 0.0
H -3.0439 -0.2574 2.0570 -0.1 -0.2 -0.2
S 0.1505 1.0095 2.3656 0.0 0.0 -0.5
C 0.0102 0.0587 3.7040 -0.5 -2.9 3.6
N -0.1035 -0.6647 4.6609 0.4 2.6 -3.4
```
Positions in Å, forces in eV/Å.

Molecular formula: C12H25N2O7
Method: DFT, ωB97M-V/def2-TZVPD

**Kohn-Sham gap (spin up / spin down)**: 8.417 / 3.535 eV
**Charge**: +2
**HOMO (spin up / spin down)**: -15.22 / -15.22 eV
**Spin multiplicity**: 2

XYZ file:
```
46
Properties=species:S:1:pos:R:3:forces:R:3
O 0.4764 -0.8423 -1.3292 1.5 -0.5 0.3
H 0.7496 0.0729 -1.2325 0.5 2.1 0.4
H 0.1682 -0.8552 -2.2383 -1.2 -0.4 -2.4
H -0.1585 -1.1079 -0.6599 -1.3 -0.3 1.0
O -0.4908 -0.4371 -3.8307 -0.4 0.3 0.1
C -0.7126 -0.5380 -5.0506 -0.6 0.0 0.9
N -0.2597 -1.6339 -5.6822 0.0 0.1 -1.2
C -1.5336 0.5719 -5.7920 2.2 -0.5 -0.1
H 0.1432 -2.4158 -5.1858 0.1 0.5 0.3
H -0.0678 -1.6524 -6.6737 -0.5 0.1 0.0
H -1.6215 0.4099 -6.8663 -0.5 -0.5 0.2
H -0.8161 1.3923 -5.7767 -0.1 0.4 0.2
H -2.4415 0.9136 -5.2951 0.1 -0.5 0.0
O 1.0282 1.8398 -1.7395 0.1 -1.4 1.1
C 0.9762 3.0668 -1.7745 1.1 -0.6 -0.2
N 0.4034 3.6134 -2.8450 0.2 0.6 0.9
C 1.6143 3.9902 -0.7640 -0.5 0.5 0.3
H -0.0333 2.9243 -3.4404 -0.2 0.7 -0.4
-- stop --
Sitting: Ru ssell , R. Harig, H. Smith, Groos, Brodb eck, Sultenfu ss.